Pull These 3 “Growth Levers” To Increase E-Commerce Revenue By 73%!

There are only three ways to grow an e-commerce store. We call them “growth levers” and this guide gives you three easy hacks to pull each one…

Dan Stearn
7 min readJun 26, 2019


Did you know there are only 3 ways to grow an online store?

Most people think growing an online store is complicated. In fact, there are only three ways to get more business:

1. Increase the number of customers
2. Increase average order value
3. Increase average order frequency

Think of these as levers you can pull to grow your sales. You can pull any of these levers, but if you combine all three you’ll grow exponentially. Boost each one by 20% and your revenue will grow by almost 73%!

Pull multiple growth levers to create compound growth online

While there are many ways to “pull” each lever, today, we’re going to focus on one quick win that can boost results in each of the three areas.

I always think it sensible to pick the lowest hanging fruit first, and there are no extra points for more complicated solutions!

Let’s get going.

Growth lever #1 — Increase number of customers

There are hundreds or maybe even thousands of ways to increase the number of customers in an e-commerce business, but one of the easiest ways to do it is to cut down on abandoned checkouts.

On average, one in three checkouts are abandoned. This represents an easy opportunity to increase sales, given how close the customer is to purchasing.

If you are not properly recovering abandoned checkouts (and no, a one-off automated email isn’t enough) you are leaving money on the table, but there are easy improvements here if you know how.

What To Consider

  1. How quickly to chase shoppers abandoning checkout and how many message to send?
  2. Which channels will you follow-up on (email, web, ads, etc)?
  3. Which messaging approach? Humourous? Faux-apologetic? Direct and to the point?
  4. What’s the incentive for shoppers to return and what is the best way to present this incentive?
  5. If using promo codes, what offer will you use, when will the codes expire, and at what point will you send them? Also, how will you protect against misuse (people catching on and gaming the system for a discount when they would have paid full price) and how will you preserve profit margins?
  6. Should returning customers be treated differently to first-time shoppers?
  7. Should you use different offers for different people, or different carts?
  8. Any products or shopper types to exclude from the process?
  9. What tools will you use to automate this?
  10. How will you measure results and split test new ideas? How will you identify which parts can be improved?

How To Implement (the easy way)

We’re currently working on a new post which will be the Ultimate Guide To Reducing Abandoned Checkouts. This will provide a step-by-step gameplan with everything you need to know to reduce abandoned checkouts by at least 20%.

In the meantime, if you are looking to shortcut your success, we built Pathfinder, an AI marketing employee to handle all of this for you. Pathfinder works for free initially, connects to Shopify and Magento stores, and takes care of all of the above automatically.

  1. Create a free Pathfinder account here.
  2. Connect your Shopify or Magento store.
  3. Turn on the Pathfinder skill “Reduce abandoned checkouts”.
Pathfinder is an AI marketing employee that joins your team and markets your store FOR you.

Growth lever #2 — Increase average order value

Increasing order value has a lot to do with effective upselling.

If you can catch customers at the point of purchase and guide them towards complimentary products, you can encourage them to spend more.

The best brands became masters of upselling because they understand that once a consumer is in “buying mode” it is much easier to have them to add something else to their cart than to have them make a fresh order later.

For best results, you want to automate this, and personalise it, and do it in a way that isn’t pushy.

[Data records, kept here for reference]
........
Here is a 4-piece molecular cluster, C32H60Br2IN3O3 overall from OMol25. Energies are from ωB97M-V with the def2-TZVPD basis set.

Cartesian coordinates (Å):
C: -0.625 -3.344 3.674
O: -1.876 -2.760 3.989
C: -2.866 -2.757 2.976
C: -3.459 -1.368 2.845
C: -2.533 -0.299 2.228
C: -1.547 -0.853 1.198
C: -0.844 0.234 0.453
C: -0.993 0.483 -0.857
C: -1.883 -0.301 -1.735
Br: -3.510 0.569 -2.139
C: -1.622 -1.507 -2.227
C: -2.474 -2.342 -3.124
Br: -0.009 -2.361 -1.725
C: -0.222 1.575 -1.515
O: -0.082 1.624 -2.715
C: 0.390 2.590 -0.614
I: 1.058 4.356 -1.469
C: 0.564 2.345 0.683
C: 0.136 1.045 1.240
O: 0.585 0.632 2.283
H: 0.117 -2.569 3.464
H: -0.699 -4.024 2.823
H: -0.289 -3.919 4.537
H: -2.473 -3.122 2.023
H: -3.668 -3.444 3.270
H: -4.391 -1.408 2.277
H: -3.727 -1.052 3.856
H: -1.999 0.236 3.013
H: -3.156 0.439 1.714
H: -0.785 -1.471 1.678
H: -2.072 -1.488 0.482
H: -2.937 -3.156 -2.562
H: -1.858 -2.785 -3.905
H: -3.252 -1.744 -3.593
H: 1.066 3.032 1.352
C: 6.068 -1.940 -3.455
C: 5.365 -1.195 -2.330
N: 4.860 0.102 -2.738
C: 4.467 0.948 -1.627
C: 3.298 0.488 -0.747
C: 3.967 0.100 -3.887
C: 2.697 -0.757 -3.812
H: 6.844 -1.318 -3.902
H: 6.535 -2.844 -3.064
H: 5.376 -2.244 -4.242
H: 6.084 -1.021 -1.525
H: 4.582 -1.847 -1.910
H: 4.241 1.942 -2.026
H: 5.347 1.077 -0.988
H: 2.344 0.586 -1.264
H: 3.249 1.109 0.151
H: 3.409 -0.547 -0.420
H: 4.545 -0.219 -4.758
H: 3.690 1.137 -4.089
H: 2.904 -1.759 -3.433
H: 2.272 -0.868 -4.812
H: 1.927 -0.307 -3.187
C: -8.692 -7.082 1.114
C: -7.582 -6.084 0.818
N: -6.389 -6.308 1.614
C: -5.451 -5.203 1.578
C: -4.781 -4.861 0.240
C: -5.815 -7.639 1.524
C: -5.415 -8.158 0.136
H: -8.909 -7.110 2.182
H: -9.600 -6.790 0.586
H: -8.435 -8.090 0.788
H: -7.944 -5.080 1.059
H: -7.382 -6.088 -0.265
H: -4.675 -5.394 2.324
H: -5.986 -4.314 1.928
H: -4.022 -5.592 -0.038
H: -4.285 -3.890 0.318
H: -5.505 -4.791 -0.573
H: -6.528 -8.343 1.959
H: -4.945 -7.666 2.185
H: -6.198 -7.983 -0.603
H: -5.247 -9.236 0.183
H: -4.497 -7.702 -0.229
C: 5.166 6.533 -0.906
C: 5.431 7.663 0.078
N: 4.419 8.700 0.040
C: 4.811 9.919 0.726
C: 5.037 9.858 2.242
C: 3.055 8.253 0.259
C: 2.743 7.504 1.562
H: 5.025 6.923 -1.915
H: 6.016 5.851 -0.919
H: 4.285 5.949 -0.636
H: 6.383 8.133 -0.182
H: 5.564 7.232 1.083
H: 4.059 10.682 0.508
H: 5.735 10.268 0.255
H: 4.101 9.774 2.794
H: 5.527 10.775 2.574
H: 5.678 9.023 2.525
H: 2.769 7.611 -0.580
H: 2.402 9.125 0.180
H: 3.486 6.737 1.783
H: 1.776 7.006 1.474
H: 2.683 8.179 2.415

Properties
**SMILES string**: COCCCCC1=C(/C(Br)=C(/C)Br)C(=O)C(I)=CC1=O.CCN(CC)CC.CCN(CC)CC.CCN(CC)CC
**Total energy**: -192953.2273 eV
**Total charge**: 0
**Gap between HOMO and LUMO**: 6.4263 eV
**HOMO energy**: -8.0 eV

Here is C6H13ClS4 as an isolated structure in a non-equilibrium geometry from OMol25. Energies are from ωB97M-V with the def2-TZVPD basis set.

Cartesian coordinates (Å):
C: -3.119 1.823 0.198
C: -2.126 0.755 0.488
C: -1.438 0.280 -0.780
C: -0.424 -0.921 -0.491
C: 0.999 -0.391 -0.199
C: 1.840 -1.434 0.562
S: 1.753 -0.215 -1.971
........
[The data records stop here]

What To Consider

  1. What are your entry level products that hook in new buyers? What higher-ticket products exist which are complimentary?
  2. Decide your upsell funnel — which items lead to other purchases and how are your products related? Any opportunity to upsell into a subscription version of a product?
  3. How will you upsell? What channels will you use and how and when will you follow-up? Will you use a brand-led or personal syle and will you incentivise with an offer?
  4. How many upsells will you create? How will you prioritise them to make sure a shopper won’t end up in multiple campaigns?
  5. Will you include fallback products if the upsell has already been purchased? Will you include a catch-all upsell if a personalised recommendation is not available?
  6. What tools will you use to automate this?
  7. How will you measure results and optimise for maximum ROI?

How To Implement (the easy way)

We’re currently working on a new post which will be the Ultimate Guide To Upselling E-Commerce Customers. This will provide a step-by-step gameplan with everything you need to know to increase average order value by at least 20%.

In the meantime, if you are looking to shortcut your success, we built Pathfinder, an AI marketing employee to handle all of this for you. Pathfinder works for free initially, connects to Shopify and Magento stores, and takes care of all of the above automatically.

  1. Create a free account here.
  2. Connect your Shopify or Magento store.
  3. Turn on the Pathfinder skill “Upsell customers after a purchase”
Pathfinder is an AI marketing employee that joins your team and markets your store FOR you.

Growth lever #3 — Increase average order frequency

Many people think marketing is about generating new customers, but that’s only half of it. Arguably the quicket, easiest and cheapest way to increase sales is to reactivate past customers who have gone cold.

True, this isn’t “sexy” marketing. Keeping customers coming back not as glamorous as getting new ones through the door. But it is considerably easier, and it is considerably cheaper… and that’s why this is where the smart money is found.

What To Consider

  1. How will you define lost or at-risk customers?
  2. Will you create multiple lost customer segments based for different products or types of products?
  3. How long before you consider a customer “lost” and will this vary by segment?
  4. Which channels will you follow-up on (email, web, direct mail, ads, etc)? How many emails to send and at what frequency?
  5. Which messaging approach? Humourous? Apologetic? Personal? Direct?
  6. Will you adapt the sequence based how the shopper responds or their recent behaviour?
  7. Will you offer an incentive to return (discount, free gift etc)? If using a promo code, will this be personalised and expire automatically?
  8. If using different lost customer segments how do you make sure one shopper won’t end up in multiple campaigns?
  9. How will you measure win-back rates?

How To Implement (the easy way)

We’re currently working on a new post which will be the Ultimate Guide To Recovering Lost Customers (you get the idea by now!). Once again, this will provide a step-by-step gameplan with everything you need to know to recover at least 20% of your inactive customers.

In the meantime, if you are looking to shortcut your success, we built Pathfinder, an AI marketing employee to handle all of this for you. Pathfinder works for free initially, connects to Shopify and Magento stores, and takes care of all of the above automatically.

  1. Create a free account here.
  2. Connect your Shopify or Magento store.
  3. Turn on the Pathfinder skill “Recover lost customers”.
Pathfinder is an AI marketing employee that joins your team and markets your store FOR you.

OK. You get it. If you want a shortcut implementing this stuff, it might be worth looking at Pathfinder (it works for free, after all). Maybe it can help you implement some of these ideas more quickly, and take responsibility for each area as your business grows.

However you decide to do it, I’d definitely encourage you to put these ideas to work in your business ASAP. We have “installed” them into dozens of online stores over the 18 months and they tend to make a quick impact more often than not.

Give them a try and us know your results! 💪



Dan Stearn

Founder & CEO @ Pathfinder. Building an AI marketing employee that does marketing for us humans. https://pathfindercommerce.com